**Work order**
Your job: find "-1.94" and "----------" in the calculation results below, and set down these two lines and those between.

**Input**
<<<
(1)
A relaxed structure of TbTmHg2. Source: Materials Project, functional PBE-GGA.

Cell: 7.422 7.422 7.422 Å, 90.00 90.00 90.00°
Space group Fm-3m (No. 225)
Symmetry-distinct sites (fractional):
Tb  0.000  0.000  0.000 (multiplicity 4)
Tm  0.000  0.000  0.500 (multiplicity 4)
Hg  0.250  0.250  0.250 (multiplicity 8)

volume	25.55	A^3/atom
energy of formation	-0.48	eV/atom

(2)
A relaxed structure of Mg6CdCO8. Source: Materials Project, functional PBE-GGA.

Cell: 4.334 4.334 8.639 Å, 90.00 90.00 90.00°
Space group P4/mmm (No. 123)
Symmetry-distinct sites (fractional):
Mg  0.000  0.000  0.000 (multiplicity 1)
Mg  0.000  0.000  0.500 (multiplicity 1)
Mg  0.000  0.500  0.240 (multiplicity 4)
Cd  0.500  0.500  0.500 (multiplicity 1)
C  0.500  0.500  0.000 (multiplicity 1)
O  0.000  0.000  0.249 (multiplicity 2)
O  0.000  0.500  0.000 (multiplicity 2)
O  0.000  0.500  0.500 (multiplicity 2)
O  0.500  0.500  0.232 (multiplicity 2)

volume	10.14	A^3/atom
energy of formation	-2.15	eV/atom
total energy after the MP2020 corrections	-93.684	eV for the cell shown
offset from the most stable computed form	0.0000	eV per atom
total magnetic moment	0.00	μB/f.u.

(3)
A relaxed structure of YMg14Ti. Source: Materials Project, functional PBE-GGA.

Cell: 10.330 6.385 11.311 Å, 90.00 90.00 90.00°
Space group Amm2 (No. 38)
Symmetry-distinct sites (fractional):
Y  0.000  0.000  0.000 (multiplicity 2)
Mg  0.000  0.246  0.252 (multiplicity 4)
Mg  0.244  0.000  0.663 (multiplicity 4)
Mg  0.252  0.244  0.415 (multiplicity 8)
Mg  0.254  0.000  0.167 (multiplicity 4)
Mg  0.500  0.000  0.500 (multiplicity 2)
Mg  0.500  0.000  0.999 (multiplicity 2)
Mg  0.500  0.249  0.749 (multiplicity 4)
Ti  0.000  0.000  0.497 (multiplicity 2)

volume	23.31	A^3/atom
energy of formation	0.04	eV/atom
offset from the most stable computed form	0.0000	eV per atom
total magnetic moment	1.74	μB/f.u.

(4)
A relaxed structure of AcNd3. Source: Materials Project, functional PBE-GGA.

Cell: 5.309 5.309 10.622 Å, 90.00 90.00 90.00°
Space group I4/mmm (No. 139)
Symmetry-distinct sites (fractional):
Ac  0.000  0.000  0.000 (multiplicity 2)
Nd  0.000  0.000  0.500 (multiplicity 2)
Nd  0.000  0.500  0.250 (multiplicity 4)

volume	37.43	A^3/atom
energy of formation	0.04	eV/atom

(5)
A relaxed structure of CsRb2GaCl6. Source: Materials Project, functional PBE-GGA.

Cell: 11.252 11.252 11.252 Å, 90.00 90.00 90.00°
Space group Fm-3m (No. 225)
Symmetry-distinct sites (fractional):
Cs  0.000  0.000  0.000 (multiplicity 4)
Rb  0.250  0.250  0.250 (multiplicity 8)
Ga  0.000  0.000  0.500 (multiplicity 4)
Cl  0.000  0.000  0.287 (multiplicity 24)

volume	35.62	A^3/atom
energy of formation	-1.94	eV/atom
total energy after the MP2020 corrections	-145.369	eV for the cell shown
total magnetic moment	0.00	μB/f.u.

(6)
A relaxed structure of CsDy2Cu3Se5. Source: Materials Project, functional PBE-GGA.

Cell: 4.140 14.697 17.431 Å, 90.00 90.00 90.00°
Space group Cmcm (No. 63)
Symmetry-distinct sites (fractional):
Cs  0.000  0.061  0.250 (multiplicity 4)
Dy  0.000  0.192  0.591 (multiplicity 8)
Cu  0.000  0.342  0.250 (multiplicity 4)
Cu  0.000  0.416  0.530 (multiplicity 8)
Se  0.000  0.168  0.070 (multiplicity 8)
Se  0.000  0.238  0.750 (multiplicity 4)
Se  0.000  0.439  0.112 (multiplicity 8)

volume	24.10	A^3/atom
energy of formation	-1.33	eV/atom
total energy after the MP2020 corrections	-217.847	eV for the cell shown
total magnetic moment	0.00	μB/f.u.

Number 1: ρ 11.85 g cm⁻³, final energy -46.50 eV for the cell shown. Number 2: ρ 4.07 g cm⁻³, final energy -88.19 eV for the cell shown. Number 3: ρ 2.12 g cm⁻³, final energy -72.10 eV for the cell shown. Number 4: ρ 7.32 g cm⁻³, final energy -36.56 eV for the cell shown. Number 5: ρ 2.73 g cm⁻³, final energy -130.63 eV for the cell shown. Number 6: ρ 6.53 g cm⁻³, final energy -208.41 eV for the cell shown.

----------

Record 1
DFT (r²SCAN) results for a relaxed MgSc2 crystal.

Cell lengths 3.333, 8.409, 5.233 Å; angles 90.00, 90.00, 78.56 degrees
>>>

**Worked solution**
energy of formation	-1.94	eV/atom
total energy after the MP2020 corrections	-145.369	eV for the cell shown
total magnetic moment	0.00	μB/f.u.

(6)
A relaxed structure of CsDy2Cu3Se5. Source: Materials Project, functional PBE-GGA.

Cell: 4.140 14.697 17.431 Å, 90.00 90.00 90.00°
Space group Cmcm (No. 63)
Symmetry-distinct sites (fractional):
Cs  0.000  0.061  0.250 (multiplicity 4)
Dy  0.000  0.192  0.591 (multiplicity 8)
Cu  0.000  0.342  0.250 (multiplicity 4)
Cu  0.000  0.416  0.530 (multiplicity 8)
Se  0.000  0.168  0.070 (multiplicity 8)
Se  0.000  0.238  0.750 (multiplicity 4)
Se  0.000  0.439  0.112 (multiplicity 8)

volume	24.10	A^3/atom
energy of formation	-1.33	eV/atom
total energy after the MP2020 corrections	-217.847	eV for the cell shown
total magnetic moment	0.00	μB/f.u.

Number 1: ρ 11.85 g cm⁻³, final energy -46.50 eV for the cell shown. Number 2: ρ 4.07 g cm⁻³, final energy -88.19 eV for the cell shown. Number 3: ρ 2.12 g cm⁻³, final energy -72.10 eV for the cell shown. Number 4: ρ 7.32 g cm⁻³, final energy -36.56 eV for the cell shown. Number 5: ρ 2.73 g cm⁻³, final energy -130.63 eV for the cell shown. Number 6: ρ 6.53 g cm⁻³, final energy -208.41 eV for the cell shown.

----------